Can emergency powers solve traffic mess?

This post was last updated on March 26th, 2020 at 02:58 pm
• Misplaced records of molecules:
<<<
{
  "formula": "C16H48O16",
  "method": "the ωB97M-V functional and the def2-TZVPD basis",
  "de_lowest_ev": 1.0929,
  "e_lumo_ev": 0.197,
  "multiplicity": 1,
  "smiles": "OCCO.OCCO.OCCO.OCCO.OCCO.OCCO.OCCO.OCCO",
  "max_force_ev_per_a": 1.76,
  "homo_energy_ev": -9.86,
  "homo_lumo_gap_ev": 10.1,
  "symbols": ["O", "C", "C", "O", "H", "H", "H", "H", "H", "H", "O", "C", "C", "O", "H", "H", "H", "H", "H", "H", "O", "C", "C", "O", "H", "H", "H", "H", "H", "H", "O", "C", "C", "O", "H", "H", "H", "H", "H", "H", "O", "C", "C", "O", "H", "H", "H", "H", "H", "H", "O", "C", "C", "O", "H", "H", "H", "H", "H", "H", "O", "C", "C", "O", "H", "H", "H", "H", "H", "H", "O", "C", "C", "O", "H", "H", "H", "H", "H", "H"],
>>>
• The page goes on:

President Rodrigo Duterte’s violent war on drugs may be hogging all the headlines barely two months into his administration, but the pervading crisis Metro Manila dwellers have to deal with everyday remains the continually worsening traffic situation.
In his first State of the Nation Address, President Rodrigo Duterte asked for emergency powers to solve the country’s paralyzing transportation state; and following this pronouncement, the Senate began deliberations on several measures granting the executive branch special powers to address the traffic mess.
Great power = fiscal responsibility
Senate Bills No. 11 and 154, filed respectively by Senate President Pro-Tempore Franklin Drilon and Sen. Joseph Victor Ejercito, grant the President the authority to go around standard bidding and procurement procedures for the construction, repair, rehabilitation, and the improvement or maintenance of transportation projects. If passed, the bills exempt the executive department from compliance with restrictions imposed by law on purchase of supplies. The proposed measures also prohibit restraining orders against transportation projects unless issued by the Supreme Court.
During the Senate hearing with transport officials, Senate Public Services Committee Chair Grace Poe emphasized the importance of the proposed emergency powers to be Freedom of Information (FOI)-compliant, warning that such powers could be easily abused since power would be concentrated in one person.
“We may allow you to take shortcuts for as long as they do not shortchange the taxpayers. There must be no hidden costs, or undeclared conditional debts that will be passed on to several generations,” Poe said.
“We will not go for vague powers or blank checks. I assure you, there will be elbow room and wide latitude given, but not wide enough for thieves to sneak in.”
Department of Transportation Secretary Arthur Tugade, who also pointed out the need to redistribute flights out of the Ninoy Aquino International Airport, vowed that all projects implemented through emergency powers will be completely transparent and will not last longer than two years.
“I give you my word, whatever we do, not only in relation to the emergency power, we shall be FOI-compliant,” Tugade said. I stand on the spirit of accountability and transparency. It shall be done.”
In an interview in ABS-CBN’s Headstart a day after the hearing, Poe said that she sees emergency powers being granted “hopefully before we adjourn in December,” while also pointing out that the Transportation Department has yet to give them a detailed plan of the extent of the powers.
“They haven’t even identified the specific roads, how many kilometers of train. They have to be able to give us all of these specifics before we can actually deliberate on the extent of the emergency powers,” the senator said.
FOI concerns
Last July 23, Duterte signed the executive order (EO) implementing FOI in the executive branch—an order that grants public “access to information, official records, public records, documents and papers pertaining to official acts, transactions, or decisions, as well as to government research data and used as basis for public document.”
The order covers all government agencies under the executive branch, as well as government-owned or controlled corporations and state universities and colleges.
The public lauded Duterte’s signing of the FOI just 24 days into his presidency, even if it only covers the executive branch, particularly because it was a measure that languished during the previous administration’s six years.
But lawyer, broadcaster and law professor Mel Sta. Maria warned, “the devil is in the details,” writing in an article that “close scrutiny of the EO provides its own causes for infectivity.”
Section 7 of the EO provides that “While access to information, public records and official records, responsible officials shall afford full protection to the right to privacy of the individuals as follows: Each government office per Section 2 shall ensure that personal information in its custody or under its control is disclosed or released only if it is material or relevant to the subject matter of the request and its disclosure is permissible under this order, or existing law, rules or regulations.”
Sta. Maria pointed out that one “existing law” in relation to personal information is the Data Privacy Act of 2012, which he writes, “essentially provides that, as a general rule, the personal information of individuals shall not be revealed and cannot be printed, recorded, used and disseminated by others. This is applicable both to private people and government officials except that, in case of the latter; information can be obtained relating to their positions and functions in the government.”
What this means, according to Sta. Maria, is that the National Privacy Commission can determine whether the release of information will be harmful to public interest or national security, and therefore can control what can and cannot be revealed.
“And so pursuant to the unnamed “existing law” (which inevitably includes the Data Privacy Act of 2012) referred to by the EO, secrecy, not transparency is the governing and general rule when it comes to the private lives of government officials. And this ‘existing law’ can always be used as a scapegoat for non-disclosure by executive officials. It can always say that the “existing law” ties their hands,” Sta. Maria wrote.